Almost everyone is living a monotonous life. You get up and go about your daily routine till you sleep at night and this cycle has a continuous repetition. But have you ever sat down and thought about the purpose of your existence? Or what you are actually meant to do? Have you ever given a thought to the purpose in your life?
Most probably not. Most of you are living a changed life, a life which you are spending on others rather than yourself. A life that revolves around the happiness of your immediate people and in this whirlwind, you tend to forget about yourself. Worry not as we present you the 5 best books which will help you to find your long-lost purpose in life.
1. Love Does: Discover a Secretly Incredible Life in an Ordinary World by Bob Goff
This book is a classic on its own. During the years you forget the reason for your happiness. On the face you are happy but on the inside you are empty. The reason for this is competition and comparison. You always seek others for yourself rather than looking inside you. This book motivates and encourages you and teaches you that you are above all. You are by no means below anyone.
If you feel worthless that’s because you make yourself feel that way and always tend to look up to others by how happy and content they are. This is wrong. You should seek the happiness inside you as there are many who look up to you and are envious of you. This book makes you realize your own self-worth.
2. Do The Work: Overcome Resistance and Get Out Of Your Own Way by Steven Pressfield, Seth Godin
Sometimes, you become your enemy without even realizing it. Take the example of a glass filled with half water and you will always take the approach of it being half empty rather than looking at the fact that it is half full and you can fulfill your thirst.
-- The article is interrupted by calculated molecules --
'''
DFT (the ωB97M-V functional and the def2-TZVPD basis) results for a gas-phase ion, C2H8NO2 (charge +1) at a distorted geometry.

Structure (ORCA input):
```
! wB97M-V def2-TZVPD RIJCOSX def2/J DEFGRID3
* xyz 1 1
O -1.71584 -0.85252 -0.04526
H -0.43429 2.16402 -0.04264
H 1.06923 -1.11985 -1.01393
N 0.92268 -0.97694 -0.00582
H -0.36501 0.97438 -1.38325
H 1.65079 -1.47747 0.51500
H 1.78147 0.97056 -0.05914
O -1.64801 0.54012 0.24722
H 0.86131 0.58571 1.41435
H -0.03202 -1.35152 0.21590
C -0.32984 1.11299 -0.29993
C 0.88851 0.47489 0.32915
H -2.64896 -1.04437 0.12836
*
```

For the highest occupied orbital energy, the calculation gives -14.45 eV. The SMILES is [NH3+]CCOO. As for the energy above the lowest of the compared OMol25 structures with the same formula, charge and spin: 88.3 kcal/mol. The total energy is -7779.128 eV. As for the largest force on an atom: 2.83 eV/Å. The calculation puts the LUMO energy at -3.61 eV.

~~~~~

63
Properties=species:S:1:pos:R:3 method="wB97M-V/def2-TZVPD" homo_energy_ha="-0.0348 / -0.0406" charge=-2 homo_lumo_gap_ha="0.183 / 0.176" total_energy_ev=-272395.619 spin_multiplicity=3 max_force_ev_per_a=1.85 e_lumo_ha="0.1483 / 0.1350"
Te -4.5011 2.9573 -2.9344
Te -5.4330 1.1473 1.3843
Tc -1.7797 1.4019 -0.4478
Se -3.5574 0.1188 0.0870
Se -2.2246 2.0184 -2.7445
Ge -0.7193 -0.7835 -1.0735
Cl -2.7160 3.4958 0.4038
Cl 2.5429 4.9389 0.3316
S 0.3182 2.7295 -0.4510
C -0.9891 -1.6750 -2.8510
C -1.3724 4.4531 0.9652
C -1.6460 5.4480 1.8885
C 3.3805 0.3385 -1.6692
C 2.8784 0.9066 2.8536
C 0.6692 1.1613 1.8448
C -2.2891 -2.0686 -3.1990
C 1.2931 -0.7186 -0.9518
C 0.0501 -2.0617 -3.7072
C 0.6728 6.0552 1.8956
C -0.1928 -2.8440 -4.8388
C 2.0574 -1.5211 -0.0879
C 0.9173 5.0657 0.9532
C 4.1144 -0.4805 -0.8172
C -1.0557 -2.4211 0.0746
C -2.5384 -2.8534 -4.3212
C -0.0803 4.2133 0.4929
C 2.0592 1.4221 1.8585
C -1.6181 -2.3802 1.3516
C -0.6798 -3.6875 -0.4045
C 0.9825 -0.1188 3.9059
C 3.4471 -1.4043 -0.0214
C -1.8082 -3.5343 2.1123
C -1.4323 -4.7761 1.6116
C -0.8593 -4.8482 0.3471
C -1.4860 -3.2555 -5.1406
C -0.6151 6.2364 2.3684
C -0.2342 1.5940 0.8251
C 0.1568 0.3975 2.9220
C 1.9924 0.2178 -1.7291
C 2.3572 0.1229 3.8839
H 2.4948 2.0009 1.0540
H 0.5508 -0.7241 4.6960
H 5.1944 -0.3929 -0.7701
H -0.5586 -5.8094 -0.0591
H -1.5913 -5.6777 2.1960
H 1.0682 -1.7612 -3.4820
H -0.9088 0.2234 2.9603
H -1.6742 -3.8846 -6.0045
H 0.6317 -3.1413 -5.4787
H 3.9438 1.1088 2.8145
H -1.9398 -1.4375 1.7597
H -0.8162 6.9977 3.1134
H 4.0067 -2.0320 0.6648
H -2.6666 5.5863 2.2241
H 3.0071 -0.2972 4.6439
H -2.2674 -3.4580 3.0921
H -3.5548 -3.1564 -4.5543
H -3.1215 -1.7575 -2.5721
H -0.2347 -3.7720 -1.3922
H 1.5596 -2.2418 0.5537
H 1.4363 0.8723 -2.3957
H 3.8854 1.0781 -2.2812
H 1.4935 6.6682 2.2460



96
Properties=species:S:1:pos:R:3 method="wB97M-V/def2-TZVPD" homo_energy_ha="-0.3484 / -0.4089" charge=+1 homo_lumo_gap_ha="0.245 / 0.201" total_energy_ev=-91857.791 spin_multiplicity=6 max_force_ev_per_a=1.43 e_lumo_ha="-0.1039 / -0.2075"
'''
Because of peer pressure and the surrounding society, you tend to believe that you do not deserve all the happiness and good things in life, and with that notion in your mind, you stop yourself from doing something you love and embracing your purpose. This book will help you in overcoming the obstructions that are coming in the way of your happiness.
3. The Untethered Soul: The Journey Beyond Yourself – By Michael A. Singer
Have you ever thought by looking at a talented and creative person that he or she is wasting their life and not exploring and utilizing their talent? Well, that person is you. Every one of us is born talented, it’s just that you need to show the world your talent. This book has 2 parts, the first one will show you your own self-worth and make you realize that you are enough for yourself.
The second part will show you how to remove the inhibitions, the past mistakes, and your pains that are stopping you from living in the present. It’s the present and the future that count and you are the only one who can make or break it.
********
(1)
Formula: C44H33Cl4MoN5O3Si
Source: OMol25
Level of theory: the ωB97M-V functional and the def2-TZVPD basis

Structure (XYZ):
```
91
Properties=species:S:1:pos:R:3:forces:R:3
Mo -0.253384 -0.187663 -0.391378 0.7072 -1.1599 0.7144
Cl 1.016603 6.585760 1.500193 -0.0011 0.0735 0.0247
C 1.149139 4.872105 1.241867 -0.0396 0.0757 -0.1043
C 1.575644 4.051633 2.296561 -0.0135 -0.2243 -0.0723
C 1.648037 2.690482 2.131186 0.0793 0.0955 0.1715
C 1.271735 2.087508 0.911713 0.0130 0.0000 -0.5560
O 1.267074 0.804423 0.778660 0.1079 -0.0813 0.0389
C 0.959977 2.948900 -0.186582 -0.1592 0.0163 0.5905
C 0.904949 2.404583 -1.488823 0.2015 -0.2899 -0.3322
N 0.890049 1.125815 -1.736414 -0.1441 0.8653 -0.1813
C 1.160818 0.648756 -3.005079 0.0657 0.1337 -0.7795
C 1.891318 1.304127 -3.980428 -0.2092 -0.0772 0.5346
C 2.086866 0.710996 -5.232685 -0.0489 -0.2414 -0.3389
C 1.574474 -0.527887 -5.518935 0.1414 0.1839 -0.0227
C 0.851037 -1.237983 -4.538980 -0.0457 0.0590 0.3106
C 0.321029 -2.527540 -4.743265 -0.1324 -0.1377 0.2332
C -0.352503 -3.134082 -3.718731 0.1480 -0.0964 -0.4370
C -0.490233 -2.477215 -2.496342 0.0115 0.3408 0.3116
N -0.004768 -1.272026 -2.251728 0.3123 -0.7907 -0.8903
C 0.656168 -0.648403 -3.269026 0.0641 0.1235 -0.3061
C 0.866944 4.340718 0.015094 0.0435 -0.0248 -0.0289
H 1.839969 4.499525 3.245304 -0.0137 0.0263 -0.0001
H 1.964797 2.042696 2.938015 -0.0206 -0.0122 0.0091
H 0.917603 3.105350 -2.326822 0.1541 0.0124 -0.0019
H 2.345149 2.261585 -3.760716 0.0128 -0.0081 -0.0158
H 2.657027 1.239166 -5.985758 0.0128 0.0091 0.0243
H 1.734456 -0.986514 -6.486170 -0.0045 0.0188 -0.0087
H 0.459705 -3.024923 -5.694655 -0.0193 0.0233 -0.0215
H -0.770791 -4.123819 -3.833947 -0.0387 0.0154 0.0252
H -1.030093 -2.950461 -1.689577 -0.0255 0.0260 0.0116
H 0.568001 4.983272 -0.804318 0.0584 0.0193 -0.0066
C -3.136457 2.700610 -2.913007 -0.1601 0.1546 -0.0670
C -1.990867 1.987979 -2.532776 0.1862 -0.0977 0.1500
N -1.747739 1.619204 -1.295455 -0.4667 0.1627 -0.1596
C -2.638481 1.963677 -0.334686 -0.3289 0.3047 0.1058
C -3.811033 2.709427 -0.610942 0.2316 -0.2426 0.0369
C -4.046744 3.055368 -1.958379 0.1381 -0.0019 -0.0403
C -4.688937 3.035945 0.440895 -0.1936 0.0641 0.1146
C -4.401364 2.614015 1.711672 -0.1024 0.0717 -0.1576
C -3.253666 1.864628 1.997832 0.2477 -0.0773 -0.1661
C -2.349574 1.530522 0.995846 -0.0528 -0.1040 0.1796
N -1.230239 0.752666 1.137630 -0.3340 1.0482 0.8793
C -0.835842 0.298649 2.388565 -0.2252 0.1305 0.0870
C -0.748805 1.007733 3.566127 0.1032 -0.0936 -0.3019
C -0.413274 0.341731 4.758476 -0.0360 -0.1536 0.1631
C -0.297372 -1.021566 4.809266 0.0070 0.0996 0.2337
C -0.443849 -1.782466 3.629021 0.0270 0.0235 -0.3559
C -0.561975 -3.186410 3.575427 0.0853 -0.0022 -0.1768
C -0.790863 -3.785103 2.364092 0.0536 -0.1264 0.2761
C -0.768131 -3.019444 1.192045 0.1561 0.3125 -0.2758
N -0.603482 -1.710063 1.188399 -0.3210 -0.3950 0.6662
C -0.574327 -1.092804 2.408018 -0.0227 -0.0766 0.3229
H -3.287811 2.946791 -3.954895 0.0054 -0.0105 -0.0019
********
4. Miracles Now: 108 Life-Changing Tools for Less Stress, More Flow, and Finding your True Purpose by Gabrielle Bernstein
In life, you face many challenges, ups, and downs, happiness and sadness which define your life. But it is how you perceive it. If you prefer to stay in your sadness and not accept the challenges but accept failures and distress then you will never be able to get up. This is a great book to teach you how to deal with the challenges in life and the thorns that life throws at you, your mood swings, depression, anxiety, and failure and teaches you how to overcome obstacles, find out what makes you happy and what you want to do.
ORCA calculation (ωB97M-V/def2-TZVPD) on the molecule C18H14ClF3N4OS in a non-equilibrium geometry.

As for the spin multiplicity: 1. The calculation puts the frontier orbital gap at 8.04 eV. As for the SMILES: Cc1ccc(/C(CSc2nccn2-c2ncc(C(F)(F)F)cc2Cl)=N\O)cc1. The calculation puts the LUMO energy at 0.0 eV.

Each line ends with the Löwdin charge.
Positions of all 42 atoms, in Å:
1 C 6.177 -2.936 1.879  -0.05
2 C 4.796 -2.561 1.434  -0.28
3 C 4.473 -1.243 1.138  -0.03
4 C 3.196 -0.896 0.741  -0.01
5 C 2.211 -1.870 0.641  -0.19
6 C 2.520 -3.190 0.942  -0.02
7 C 3.803 -3.528 1.331  -0.04
8 H 4.038 -4.559 1.556  0.11
9 H 1.760 -3.954 0.857  0.12
10 C 0.851 -1.484 0.204  -0.36
11 N 0.507 -1.204 -0.981  0.03
12 O 1.499 -1.303 -1.957  -0.03
13 H 1.042 -1.074 -2.778  0.09
14 C -0.183 -1.404 1.281  -0.38
15 H 0.252 -0.966 2.179  0.09
16 H -0.577 -2.394 1.511  0.08
17 S -1.626 -0.393 0.797  1.02
18 C -0.765 1.082 0.570  -0.59
19 N 0.451 1.316 0.967  0.08
20 C 0.742 2.586 0.560  -0.12
21 C -0.307 3.128 -0.109  -0.08
22 N -1.300 2.164 -0.115  0.01
23 C -2.564 2.162 -0.649  -0.27
24 N -3.369 1.250 -0.116  0.05
25 C -4.607 1.103 -0.529  -0.04
26 C -5.144 1.905 -1.527  -0.09
27 C -4.322 2.859 -2.125  -0.01
28 C -3.014 2.993 -1.698  -0.54
29 Cl -2.009 4.127 -2.517  0.75
30 H -4.698 3.484 -2.920  0.13
31 C -6.558 1.740 -2.001  -0.59
32 F -7.333 1.111 -1.110  0.15
33 F -7.147 2.917 -2.266  0.14
34 F -6.626 1.025 -3.139  0.14
35 H -5.182 0.331 -0.038  0.13
36 H -0.440 4.101 -0.527  0.07
37 H 1.695 3.021 0.784  0.10
38 H 2.946 0.129 0.515  0.11
39 H 5.233 -0.478 1.215  0.11
40 H 6.466 -3.901 1.469  0.08
41 H 6.212 -3.009 2.966  0.08
42 H 6.902 -2.188 1.566  0.07


ORCA calculation (ωB97M-V/def2-TZVPD) on a 4-piece molecular cluster, C2H14NO4 overall in a non-equilibrium geometry.

As for the charge: +1. As for the spin multiplicity: 1. The calculation puts the frontier orbital gap at 11.68 eV. The calculation puts the LUMO energy at -3.0 eV.

Each line ends with the Löwdin charge.
Positions of all 21 atoms, in Å:
1 C 1.817 0.873 0.412  -0.19
2 O 0.832 0.380 1.345  -0.08
3 C 1.545 0.169 -0.920  -0.10
4 N 0.058 0.172 -1.227  0.18
5 H 2.792 0.557 0.763  0.13
6 H 1.649 1.955 0.383  0.13
7 H 1.320 0.038 2.093  0.09
8 H 2.142 0.537 -1.763  0.14
9 H 1.757 -0.889 -0.738  0.13
10 H -0.482 0.904 -0.749  0.10
11 H -0.470 -0.688 -0.943  0.12
12 H -0.077 0.156 -2.235  0.17
13 H -2.341 2.191 -0.594  0.06
14 H -1.768 3.005 0.512  0.07
15 O -1.491 2.472 -0.241  -0.04
16 H 0.659 -2.071 1.484  0.03
17 H -0.467 -3.003 1.740  0.06
18 O -0.133 -2.414 1.052  -0.05
19 H -2.293 -1.985 0.427  0.04
20 H -2.814 -0.799 -0.372  0.05
21 O -2.234 -1.561 -0.429  -0.05


ORCA calculation (ωB97M-V/def2-TZVPD) on a 2-piece molecular cluster, C4H8O3 overall in a non-equilibrium geometry.

As for the spin multiplicity: 1. The calculation puts the frontier orbital gap at 9.15 eV. As for the SMILES: C/C(O)=C/O.C=O. The calculation puts the LUMO energy at 0.6 eV.

Each line ends with the Löwdin charge.
5. The Gifts of Imperfection: Let Go of Who You Think You’re Supposed to Be and Embrace Who You Are by Brene Brown
When you are born a dream is also born. But it’s not yours, it’s your parents’ dream for you. Parents dream for their children, for their future, what they want them to become when they grow up, but usually you may not follow the same dream when you grow up and have aspirations of your ow. But still, you tend to follow your parent’s dream to make them happy and forsake your own happiness. This book teaches you to follow your own dream and happiness and take a stand for it.
These books are a great read to find your purpose in life and to become happy and content. Make sure to be in a mindset to accept new things.